Why Does Our Government Despise Children?
Schools in the United States are a popular target for terrorism and senseless mass murder. This is not news. Everybody knows this. So why is our government, which requires children to attend school, not doing anything to protect them? School children are left defenseless to deranged murderers who want to go out with a bang before being checked in to hell. Why doesn’t the government protect the children? It knows how to protect people.
'''
Computed PXRD pattern
Compound: TmCo5Ge2
Radiation: copper Kα
Structure: a GGA-PBE-relaxed structure
Peak positions follow from Bragg's law for the DFT cell and can differ from measured ones.

Top 8 peaks for 2θ = 15–90°, low angle first:
26.9 deg, intensity 23
34.4 deg, intensity 68
38.2 deg, intensity 100
38.5 deg, intensity 78
48.0 deg, intensity 65
50.8 deg, intensity 37
52.5 deg, intensity 27
72.5 deg, intensity 36

Structural model:
```
data_TmCo5Ge2
_cell_length_a 3.595
_cell_length_b 6.621
_cell_length_c 9.253
_cell_angle_alpha 90.00
_cell_angle_beta 90.00
_cell_angle_gamma 90.00
_symmetry_space_group_name_H-M 'I m m m'
_symmetry_Int_Tables_number 71
_symmetry_space_group_name_Hall '-I 2 2'
loop_
_atom_site_label
_atom_site_type_symbol
_atom_site_fract_x
_atom_site_fract_y
_atom_site_fract_z
Tm1 Tm 0.000 0.000 0.000
Co1 Co 0.000 0.186 0.366
Co2 Co 0.000 0.500 0.000
Ge1 Ge 0.000 0.500 0.251
```


Computed PXRD pattern
Compound: Tb3U3Fe8
Radiation: copper Kα
Structure: a GGA-PBE-relaxed structure
Peak positions follow from Bragg's law for the DFT cell and can differ from measured ones.

Top 8 peaks for 2θ = 15–90°, low angle first:
29.7 deg, intensity 100
29.9 deg, intensity 70
35.2 deg, intensity 56
37.6 deg, intensity 31
40.0 deg, intensity 59
43.0 deg, intensity 19
46.0 deg, intensity 19
56.1 deg, intensity 21

Structural model:
```
data_Tb3U3Fe8
_cell_length_a 14.355
_cell_length_b 4.505
_cell_length_c 8.737
_cell_angle_alpha 90.00
_cell_angle_beta 122.53
_cell_angle_gamma 90.00
_symmetry_space_group_name_H-M 'C 1 2/m 1'
_symmetry_Int_Tables_number 12
_symmetry_space_group_name_Hall '-C 2y'
loop_
_atom_site_label
_atom_site_type_symbol
_atom_site_fract_x
_atom_site_fract_y
_atom_site_fract_z
Tb1 Tb 0.000 0.000 0.000
Tb2 Tb 0.196 0.500 0.623
U1 U 0.000 0.000 0.500
U2 U 0.174 0.500 0.041
Fe1 Fe 0.028 0.500 0.760
Fe2 Fe 0.089 0.000 0.363
Fe3 Fe 0.130 0.000 0.826
Fe4 Fe 0.150 0.500 0.256
```

* * * * *

This entry pairs a crystal structure of Sr2MgTi6N2O11 with its computed powder diffraction line list. Radiation: CuKα. Structure: a PBE-relaxed structure.
Lines closer than 0.1° are merged.

Atomic structure:
```
Sr2MgTi6N2O11
1.0
7.7698 -1.9012 0.0000
7.7698 1.9012 0.0000
-3.2255 0.0000 10.2020
Sr Mg Ti N O
2 1 6 2 11
direct
0.0000 0.0000 0.0000
0.0703 0.0703 0.5876
0.4692 0.4692 0.2503
0.2860 0.2860 0.1055
0.3155 0.3155 0.4515
0.4009 0.4009 0.7227
0.6511 0.6511 0.9009
0.6560 0.6560 0.3170
0.7619 0.7619 0.6571
0.2621 0.2621 0.6005
0.6700 0.6700 0.7394
0.1630 0.1630 0.9578
0.1855 0.1855 0.3068
0.3552 0.3552 0.2854
0.3862 0.3862 0.0552
0.4416 0.4416 0.5742
0.5255 0.5255 0.8595
0.5647 0.5647 0.1617
0.5760 0.5760 0.4151
0.7533 0.7533 0.0834
0.7877 0.7877 0.4398
0.8874 0.8874 0.7740
```

Largest 6 diffraction maxima, in order of falling intensity, 10 to 90 degrees two-theta:
28.82°, rel. 100.0
31.59°, rel. 86.1
25.09°, rel. 83.5
29.65°, rel. 81.3
47.84°, rel. 80.0
25.31°, rel. 57.0
'''
The government protects the President everywhere he goes. The government protects Congress when it is in session. The government protects people attending the Super Bowl and the Olympics. The government protects people in airports and on airplanes. The government protects people in courthouses in every county in our country. So, why won’t it protect school children?
No, gun control is not the answer. There are about 300 million guns owned by civilians in the United States. There is at least one gun in more than a third of American households, and 25% of American adults own at least one gun. Annually, there are about 16 thousand deaths from guns in the United States. A simple analysis of the numbers makes it clear that the vast majority of gun owners in the United States never do any harm with their guns. The murderers are an extremely tiny portion of the population of gun owners.
Still, when something horrible like a school shooting occurs, eager voices start clamoring for gun control. But taking away Americans’ guns is a really bad idea. If the government makes guns illegal, only the government and criminal gangs will have guns. And anybody who thinks that is a good idea has not thought very deeply about the dangers of criminal gangs or of government gone bad. Our founders wisely gave us the Second Amendment to protect us from both criminal gangs and government gone bad. And anyone who thinks that our government cannot go bad need only study the history of the 20th century to rid himself or herself of that fallacious assumption. Before Hitler (who was democratically elected) enslaved, imprisoned and murdered millions of Jews in the holocaust during World War II, he first took away their guns. It’s a simple pattern repeated numerous times in history. Gun control is a really, really bad idea.
Unrelated to this page: crystal structures >
<<<
Starting from DFT lattice parameters and positions (GGA+U), the powder XRD pattern of TaW2O8 was calculated for Cu Kα (weighted mean of Kα1 and Kα2).
No peak broadening, texture or thermal motion is included.

Atomic structure:
```
TaW2O8
1.0
5.062 0.000 0.000
-1.321 5.130 0.000
-0.281 -2.505 6.747
Ta W O
1 2 8
direct
0.000 0.000 0.000 Ta
0.247 0.453 0.808 W
0.726 0.549 0.177 W
0.100 0.756 0.128 O
0.113 0.719 0.755 O
0.346 0.280 0.586 O
0.367 0.266 0.016 O
0.617 0.706 0.959 O
0.655 0.727 0.407 O
0.880 0.250 0.207 O
0.912 0.196 0.817 O
```

Top 10 peaks for 10 to 80 degrees two-theta, low angle first:
| hkl | Position (°2θ) | d_spacing | I/Imax |
| --- | --- | --- | --- |
| 0 0 1 | 13.1 | 6.747 | 100 |
| 1 -1 0 | 22.1 | 4.022 | 27 |
| 1 0 1 | 23.9 | 3.718 | 57 |
| 0 1 -2 | 26.5 | 3.368 | 20 |
| -1 1 1 | 27.8 | 3.208 | 39 |
| 1 1 -1 | 28.5 | 3.134 | 33 |
| 0 2 -1 | 35.0 | 2.565 | 15 |
| 0 1 -3 | 37.8 | 2.380 | 26 |
| 1 -2 2 | 38.8 | 2.319 | 22 |
| 2 1 0 | 46.3 | 1.960 | 19 |
>>>
So, instead of talking on TV and the Internet about silly gun control policies that wouldn’t work even if implemented, why doesn’t the government actually do something to protect the school children? There are several things it could do that would actually work, including: (i) installing sufficient competent armed guards at schools; (ii) securing schools with only one entry point, and installing metal detectors and security guards at that entrance point; (iii) having plain-clothes officers carrying concealed guns on site; and (iv) arming a few, undisclosed teachers. A combination of these measures would reduce school shootings to zero, as the case should be. This is really, really simple. Why isn’t the government doing this?
I have just one more thought to leave with you. Schools weren’t always targets of crazed murderers, you know. When I was in school, nobody had ever heard of school shootings. When I started school, we used to pray at my small, neighborhood elementary school in Alabama. And schools all across our nation used to have Bible reading. Every day. But, in 1963, the U.S. Supreme Court, without any legal precedent or doctrine whatsoever, overturned 340 years of historical precedent by outlawing the Bible from American public schools. The basis of their decision was the mere opinion of a psychologist who testified that, in his opinion, reading the Bible without explanation could possibly cause psychological damage to children. I’m sure he was entitled to his opinion. But that was no basis for a high court decision that overturned 340 years of historical precedent. And, after 55 years of our atheistic school system in America, we find that the lack of Bible reading and prayer is what is actually psychologically damaging to children. If children were still praying and reading the Bible, they wouldn’t grow up to become mass murderers.